I used to be so sure that if I had more money, I could finally be free.
If I had money, I could travel. I could see new things, have a great time, explore the beauty and wonder of our world. I could buy new clothes and art and furniture that would be more “me,” and thus I’d be free to truly, finally express my authentic self.
If I just had more money, I could be free from worry, stress, and anxiety.
If I had money, I could move somewhere better. I could buy whatever I wanted, when I wanted it, and I’d feel less deprived. I’d have extra in savings and would feel safe.
If only I had more money…
I’ve come to understand that the only thing actually keeping me trapped, limited, and inhibited, in all areas of my life, was this backwards belief that I needed money to feel free, accompanied by the nagging suspicion that there was somewhere else I should be, and it was definitely better than where I was.
But I was miserable with this way of thinking, so I dug deeper to figure out what I could do about it.
Crystal structures, as found in the file:
- - -
For Pa5P4C, the PBE geometry in Alexandria gives the simulated PXRD pattern in this record (Cu Ka).
No peak broadening, texture or thermal motion is included.

abc: 8.6951 8.6951 5.5448
angles: 90.00 90.00 90.00
Space group I4/m (No. 87)
One atom of each set of equivalent atoms:
1 Pa 0.0000 0.0000 0.0000 x2
2 Pa 0.0952 0.2806 0.5000 x8
3 P 0.0924 0.3032 0.0000 x8
4 C 0.0000 0.0000 0.5000 x2

The 10 most intense peaks (2θ = 5–70°), by intensity:
(2 1 1), d = 3.184 Å, I = 100; (1 3 0), d = 2.750 Å, I = 56; (1 3 2), d = 1.952 Å, I = 42; (0 0 2), d = 2.772 Å, I = 29; (5 0 1), d = 1.659 Å, I = 28; (4 2 2), d = 1.592 Å, I = 21; (4 2 0), d = 1.944 Å, I = 19; (2 1 3), d = 1.669 Å, I = 17; (2 6 0), d = 1.375 Å, I = 6; (0 0 4), d = 1.386 Å, I = 4

For Pm2PC, the PBE geometry in Alexandria gives the simulated PXRD pattern in this record (Cu Ka).
No peak broadening, texture or thermal motion is included.

abc: 3.8843 3.8843 19.7104
angles: 90.00 90.00 120.00
Space group R-3m (No. 166, hexagonal axes)
One atom of each set of equivalent atoms:
1 Pm 0.0000 0.0000 0.2412 x6
2 P 0.0000 0.0000 0.0000 x3
3 C 0.0000 0.0000 0.5000 x3

The 10 most intense peaks (2θ = 5–70°), by intensity:
(1 0 4), d = 2.778 Å, I = 100; (0 1 2), d = 3.184 Å, I = 82; (1 1 0), d = 1.942 Å, I = 36; (0 1 8), d = 1.988 Å, I = 33; (0 0 6), d = 3.285 Å, I = 26; (1 1 6), d = 1.672 Å, I = 24; (0 2 4), d = 1.592 Å, I = 18; (2 0 2), d = 1.658 Å, I = 13; (2 0 8), d = 1.389 Å, I = 10; (1 0 10), d = 1.701 Å, I = 10

For Pr8P3CS4, the PBE geometry in Alexandria gives the simulated PXRD pattern in this record (Cu Ka).
No peak broadening, texture or thermal motion is included.

abc: 8.2275 8.2275 20.2912
angles: 90.00 90.00 120.00
Space group R-3m (No. 166, hexagonal axes)
One atom of each set of equivalent atoms:
1 Pr 0.0000 0.0000 0.2478 x6
2 Pr 0.0168 0.5084 0.2440 x18
3 P 0.0000 0.5000 0.5000 x9
4 C 0.0000 0.0000 0.5000 x3
5 S 0.0000 0.0000 0.0000 x3
6 S 0.0000 0.5000 0.0000 x9

The 10 most intense peaks (2θ = 5–70°), by intensity:
(0 2 4), d = 2.915 Å, I = 100; (2 0 2), d = 3.361 Å, I = 61; (2 2 0), d = 2.057 Å, I = 36; (2 0 8), d = 2.066 Å, I = 35; (0 4 2), d = 1.756 Å, I = 28; (0 0 6), d = 3.382 Å, I = 20; (4 0 4), d = 1.681 Å, I = 18; (0 4 8), d = 1.458 Å, I = 11; (0 2 10), d = 1.763 Å, I = 9; (0 0 12), d = 1.691 Å, I = 6

For Pu4PC2, the PBE geometry in Alexandria gives the simulated PXRD pattern in this record (Cu Ka).
No peak broadening, texture or thermal motion is included.

abc: 3.7229 12.1173 11.5919
angles: 90.00 90.00 90.00
Space group Cmcm (No. 63)
One atom of each set of equivalent atoms:
1 Pu 0.0000 0.0000 0.0000 x4
2 Pu 0.0000 0.2742 0.1204 x8
3 Pu 0.0000 0.4153 0.7500 x4
4 P 0.0000 0.0876 0.7500 x4
5 C 0.0000 0.3612 0.5532 x8

The 10 most intense peaks (2θ = 5–70°), by intensity:
- - -
When I say I want to travel more, it’s because I want to learn about other cultures, hear different languages, see new sights, and taste exotic new foods. What I really want is adventure, magic, newness. And I can find that for free.
When I lived in Denver, I would ride the bus and hear 4 different languages being spoken in as many blocks.
At one stop, about 20 people from India got on, talking happily in their beautiful language (which I didn’t understand), smelling of curry and other spices I couldn’t identify.
Later down the line we drove through a neighborhood full of taquerias and stores selling quinceañera dresses, piñatas and Virgin Mary candles.
And in a different section entirely was a huge Asian market and all the shop signs bore symbols that fascinated me in yet another language I didn’t know.
Adventure. Magic. Newness. But only if I’m willing to notice it, if I’m willing to appreciate it. All for the cost of a bus ticket in a city I’d lived in for more than a decade.
When I say I want more money to be sure I can pay my bills, what I really want is relief. I want certainty. I want to know I’m safe and all will be well. And honestly, I know now that those conditions don’t depend on money, nor are they guaranteed at a certain dollar amount.
There are people with millions who still worry that they’ll lose it or think it’s not enough. There are people with literally no money who are happy and well. I myself have been poor and happy, poor and miserable, wealthy and dissatisfied, wealthy and joyful. The money never created my feelings.
Of course I want to help make a world where everyone has their basic needs met, and yes, life gets a lot easier when you can pay for basic necessities with ease. But the real lasting feelings of safety, contentment, peace, and well-being are an inside job.
Funny enough, when I stopped looking to money to create those feelings for me, I was able to make a lot more of it. Because I’m just not that productive, helpful, or creative when I’m stressed out and worried about money. And I make money when I’m productive, helpful, and creative. So, there ya go.
Try this next time you feel limited or stuck. Ask yourself:
**Calculated crystals, kept here for reference:**
____________
Structure and simulated powder XRD pattern of FeH2 (DFT lattice parameters and positions (PBE); Cu Ka).
Lines closer than 0.1° are merged.

The 5 most intense peaks (2θ = 5–70°), sorted by position:
2theta	d (Å)	I (rel.)
22.32	3.983	100
42.09	2.147	50
45.55	1.991	13
48.15	1.890	69
63.74	1.460	28

Atomic structure:
```
3
Lattice="2.4791 0.0000 0.0000 -1.2395 2.1469 0.0000 0.0000 0.0000 3.9830" Properties=species:S:1:pos:R:3 pbc="T T T"
Fe 0.0000 0.0000 0.0000
H 0.0000 1.4313 0.9594
H 1.2395 0.7156 3.0235
```

---

Structure and simulated powder XRD pattern of Pu3Al2 (DFT lattice parameters and positions (PBE); Cu Ka).
Lines closer than 0.1° are merged.

The 6 most intense peaks (2θ = 5–70°), sorted by position:
2theta	d (Å)	I (rel.)
19.98	4.444	39
32.80	2.731	100
34.97	2.566	65
48.70	1.870	33
61.35	1.511	33
65.00	1.435	19

Atomic structure:
```
10
Lattice="4.4439 2.5657 3.4613 -4.4439 2.5657 3.4613 0.0000 -5.1314 3.4613" Properties=species:S:1:pos:R:3 pbc="T T T"
Pu -3.0064 -0.0758 4.3267
Pu -1.4375 -2.6415 6.0573
Pu 1.5688 -2.5657 4.3267
Pu -1.5688 2.5657 6.0573
Pu 1.4375 2.6415 4.3267
Pu 3.0064 0.0758 6.0573
Al 0.0000 0.0000 1.2901
Al 0.0000 0.0000 3.9019
Al 0.0000 0.0000 6.4820
Al 0.0000 0.0000 9.0939
```

---

Structure and simulated powder XRD pattern of TmCo12B6 (DFT lattice parameters and positions (PBE); Cu Ka).
Lines closer than 0.1° are merged.

The 6 most intense peaks (2θ = 5–70°), sorted by position:
2theta	d (Å)	I (rel.)
32.79	2.731	40
33.12	2.704	33
41.43	2.180	60
41.97	2.153	100
47.30	1.922	24
59.17	1.561	21

Atomic structure:
```
19
Lattice="4.6842 2.7044 2.4625 -4.6842 2.7044 2.4625 0.0000 -5.4088 2.4625" Properties=species:S:1:pos:R:3 pbc="T T T"
Tm 0.0000 0.0000 0.0000
Co -1.7229 -2.9841 3.6937
Co -3.4457 0.0000 3.6937
Co -1.2586 -0.7267 2.6980
Co 1.2586 -0.7267 2.6980
Co 0.0000 1.4533 2.6980
Co 1.7229 -2.9841 3.6937
Co -1.7229 2.9841 3.6937
Co 0.0000 -1.4533 4.6894
Co -1.2586 0.7267 4.6894
Co 1.2586 0.7267 4.6895
Co 3.4457 0.0000 3.6937
Co 1.7229 2.9841 3.6937
B 0.0000 -2.4136 2.8199
B -2.0902 1.2068 2.8199
B -2.0902 -1.2068 4.5676
B 2.0902 1.2068 2.8199
B 2.0902 -1.2068 4.5676
B 0.0000 2.4136 4.5676
```

---

Structure and simulated powder XRD pattern of TbGd2Cd3Au3 (DFT lattice parameters and positions (PBE); Cu Ka).
Lines closer than 0.1° are merged.

The 6 most intense peaks (2θ = 5–70°), sorted by position:
2theta	d (Å)	I (rel.)
32.28	2.773	62
34.98	2.565	100
39.90	2.259	43
42.10	2.146	32
62.66	1.483	23
64.44	1.446	28

Atomic structure:
```
9
Lattice="3.9303 0.0000 0.0000 0.0000 6.7740 3.9153 0.0000 -6.7740 3.9153" Properties=species:S:1:pos:R:3 pbc="T T T"
Tb 0.0000 0.0000 0.0000
Gd 0.0000 -2.7335 4.7403
Gd 0.0000 2.7335 4.7403
Cd 1.9652 -1.7714 2.1342
Cd 1.9652 1.7714 2.1342
Cd 1.9652 0.0000 5.2122
Au 0.0000 0.0000 3.1574
Au 1.9652 -4.5229 3.1629
Au 1.9652 4.5229 3.1629
```

---

Structure and simulated powder XRD pattern of Zr4U3 (DFT lattice parameters and positions (PBE); Cu Ka).
Lines closer than 0.1° are merged.
____________
**The page goes on:**
- What do I really want?
- Why do I want that?
- How do I think I’ll feel if I have that thing?
- What can I believe or focus on now to feel that way today?
- What’s one small action I could take from that feeling to get closer to what I want?
The bottom line for me is that I am free as soon as I decide to be. Freedom is always available to me because it doesn’t come from my outer circumstances. It comes from my mind, from my heart, from my faith in bigger things. And I can access my freedom and celebrate it any time, with any amount of money, anywhere. I wish the same for you as well.